Beha'alotecha - Sh'vi'i

What comes next are crystal structures, not part of the page:
<<<
Compound: Sm3Al12Os4
Source: the Materials Project database
Functional: GGA-PBE
Structure: relaxed

Results
ΔH_f (0 K)	-0.583	eV per atom
energy	-6.06	eV/atom

Structure (extended XYZ):
```
38
Lattice="8.892 0.000 0.000 -4.446 7.701 0.000 0.000 0.000 9.638" Properties=species:S:1:pos:R:3 pbc="T T T"
Sm 0.000 2.962 2.409
Sm -1.881 6.220 2.409
Sm 2.565 1.481 7.228
Sm 1.881 6.220 2.409
Sm 6.327 1.481 7.228
Sm 4.446 4.738 7.228
Al 0.000 0.000 2.409
Al 0.000 0.000 7.228
Al -1.414 4.318 7.228
Al 0.000 2.508 5.544
Al 0.000 2.508 8.913
Al -2.274 6.447 5.544
Al -2.274 6.447 8.913
Al 2.172 1.254 0.725
Al 2.172 1.254 4.094
Al 0.000 5.134 0.122
Al 0.000 5.134 4.696
Al 1.414 4.318 7.228
Al 0.000 6.766 7.228
Al 4.446 0.934 2.409
Al 3.032 3.383 2.409
Al 4.446 2.567 4.941
Al 4.446 2.567 9.515
Al 2.274 6.447 5.544
Al 2.274 6.447 8.913
Al 6.720 1.254 0.725
Al 6.720 1.254 4.094
Al 4.446 5.193 0.725
Al 4.446 5.193 4.094
Al 5.860 3.383 2.409
Os 0.000 0.000 0.000
Os 0.000 0.000 4.819
Os -2.223 3.850 0.000
Os -2.223 3.850 4.819
Os 4.446 0.000 0.000
Os 4.446 0.000 4.819
Os 2.223 3.850 0.000
Os 2.223 3.850 4.819
```


Entry 1:
## Sr2V3O9 (PBE+U)

Data for a relaxed structure of Sr2V3O9.

POSCAR file:
```
Sr2V3O9
1.0
-1.2559 -1.0048 -6.9180
5.8693 -3.6120 2.9233
-14.2240 -8.2083 7.5849
V O Sr
12 36 8
Direct
0.9110 0.1585 0.6598
0.9096 0.1585 0.1599
0.0904 0.8415 0.8401
0.4949 0.4601 0.2447
0.3320 0.5819 0.5801
0.4950 0.0294 0.7446
0.5050 0.9706 0.2554
0.6680 0.4181 0.4199
0.3328 0.5814 0.0802
0.5051 0.5399 0.7553
0.0890 0.8415 0.3402
0.6672 0.4186 0.9198
0.4625 0.6798 0.5180
0.7781 0.0620 0.2259
0.9571 0.9808 0.5988
0.5390 0.3195 0.9822
0.5375 0.3202 0.4820
0.0784 0.3589 0.5198
0.4907 0.5033 0.1402
0.7412 0.2090 0.5968
0.7756 0.0627 0.7249
0.4549 0.2142 0.2120
0.8269 0.6112 0.2761
0.2588 0.7910 0.4032
0.8260 0.6141 0.7769
0.7046 0.2179 0.3607
0.7401 0.2123 0.0985
0.2219 0.9380 0.7741
0.4610 0.6805 0.0178
0.0775 0.3596 0.0201
0.0474 0.0192 0.9027
0.2599 0.7877 0.9015
0.9216 0.6411 0.4802
0.1731 0.3888 0.7239
0.2244 0.9373 0.2751
0.9526 0.9808 0.0973
0.5093 0.4967 0.8598
0.5451 0.7858 0.7880
0.2954 0.7821 0.6393
0.2994 0.7833 0.1403
0.1740 0.3859 0.2231
0.5119 0.4967 0.3589
0.4727 0.2120 0.7123
0.5273 0.7880 0.2877
0.7006 0.2167 0.8597
0.9225 0.6404 0.9799
0.4881 0.5033 0.6411
0.0429 0.0192 0.4012
0.8793 0.6248 0.1250
0.8759 0.6216 0.6251
0.2984 0.0458 0.0484
0.1207 0.3752 0.8750
0.7011 0.9480 0.4514
0.7016 0.9542 0.9516
0.1241 0.3784 0.3749
0.2989 0.0520 0.5486
```

Output
As for the energy: -7.38 eV per atom. For the density, the calculation gives 4.0 g cm⁻³. The calculation puts the MP2020-corrected energy at -458.15 eV for the cell shown. The offset from the most stable computed form is 4 meV/atom. Its energy relative to the elements is -2813 meV/atom.

Entry 2:
## Sr2V2O7 (PBE+U)

Data for a relaxed structure of Sr2V2O7.

POSCAR file:
```
Sr2V2O7
1.0
7.1909 0.0000 0.0000
0.0000 7.1909 0.0000
0.0000 0.0000 26.0683
V O Sr
16 56 16
Direct
0.6954 0.9675 0.3779
>>>

You Know’s Who’s Modest? Me.

Moshe and the elders returned to the camp. A strong wind started blowing in quail from the sea. The quail were weakened by the time they reached the camp, so they were flying a mere two cubits over the ground. (That could be as little as three feet - certainly easy enough to catch.) Quail surrounded the camp the distance of a day's travel in every direction. There was certainly no imminent shortage of quail. The people stockpiled a ridiculous amount of quail. Quail quail quail. Let's say quail again: quail. Seriously, there was a LOT of quail.

The people were still gorging themselves on quail when they started to die. G-d struck them with a plague and the place came to be known as Kivros HaTaavah, "Graves of the Craving."

After this incident, the Jews relocated to a place called Chatzeiros, where they would remain for a good long while.

Moshe's siblings, Miriam and Aharon, complained about Moshe's wife. (The exact nature of the complaint is unstated, but it is suggested by the text that they criticized Moshe for neglecting his conjugal duties. See Rashi on 12:1.) "We're prophets, too," they said, "but we don't neglect our spouses." (At this point, the Torah informs us that Moshe was the humblest person on the face of the Earth. We'll come back to that.)

G-d summoned all three of the siblings to the Mishkan. "Get this straight," He told Miriam and Aharon, "you two are NOT like Moshe. I speak to all My messengers in dreams and visions. Only Moshe gets to speak to Me metaphorically 'face to face,' like you would with another human being. If I were you, I'd think twice before speaking against Moshe."

After this, Miriam (the instigator) was stricken with tzaraas, the standard punishment for gossip and slander. (Refer back to parshas Metzora.) Aharon begged Moshe to intercede. Moshe uttered a heartfelt but concise prayer ("G-d, please heal her now"), which was refused.

"If her father bawled her out publicly," G-d asked, "wouldn't she hide herself in shame? Let her leave the camp for a week, then she can return."

The camp didn't travel while Miriam was in her seclusion. After she returned to the camp, they packed up and traveled to Paran.

Now, as to the matter of Moshe's humility, the obvious question is: How is that possible? Didn't Moshe know that G-d selected him to work miracles in Egypt? That he spent forty days and nights with G-d on Mount Sinai - twice? That he, and he alone, spoke with G-d "face to face?" Wouldn't Moshe have to be disingenuous to be humble in the face of all that?

Not at all. Moshe realized that all that came from G-d. Moshe was a human being and he was well aware of both his strengths and his flaws. He wasn't too big to take advice from his father-in-law Yisro or to let Aharon have the last word in a disagreement when Aharon was in the right. In short, Moshe's special relationship with G-d didn't make him think he was anything special or better than everyone else. Just the opposite! As we see from the incident with Eldad and Meidad, Moshe sincerely wished that everyone could experience what he did.

........
[1]
Below is an optimized crystal structure of La8Cu3O16, with properties calculated at the PBE level.

POSCAR file:
```
La8Cu3O16
1.0
7.536 0.000 0.000
-1.903 8.653 0.000
-1.850 -1.167 11.408
La Cu O
16 6 32
direct
0.813 0.047 0.725
0.675 0.948 0.277
0.325 0.052 0.723
0.825 0.797 0.982
0.809 0.296 0.481
0.829 0.549 0.226
0.313 0.794 0.983
0.330 0.294 0.484
0.187 0.953 0.275
0.670 0.706 0.516
0.687 0.206 0.017
0.692 0.451 0.778
0.191 0.704 0.519
0.175 0.203 0.018
0.308 0.549 0.222
0.171 0.451 0.774
0.000 0.000 0.500
0.000 0.249 0.250
0.500 0.250 0.250
0.000 0.751 0.750
0.500 0.500 0.000
0.500 0.750 0.750
0.999 0.870 0.622
0.899 0.775 0.357
0.501 0.875 0.629
0.759 0.003 0.502
0.415 0.763 0.364
0.918 0.018 0.117
0.918 0.516 0.619
0.585 0.237 0.636
0.998 0.368 0.125
0.499 0.125 0.371
0.241 0.997 0.498
0.748 0.246 0.248
0.749 0.746 0.748
0.101 0.225 0.643
0.601 0.974 0.890
0.600 0.473 0.392
0.898 0.271 0.856
0.400 0.527 0.608
0.399 0.026 0.110
0.502 0.379 0.127
0.251 0.254 0.252
0.744 0.504 0.002
0.252 0.754 0.752
0.001 0.130 0.378
0.418 0.266 0.866
0.082 0.982 0.883
0.082 0.484 0.381
0.582 0.734 0.134
0.256 0.496 0.998
0.498 0.621 0.873
0.102 0.729 0.144
0.002 0.632 0.875
```

## Properties
SG: P-1, No. 2
DFT total energy in Ry per atom: -0.551
Magnetic moment in μB per atom: 0.023

***

[2]
Below is an optimized crystal structure of La2Cu2O5, with properties calculated at the PBE level.

POSCAR file:
```
La2Cu2O5
1.0
3.925 0.000 0.000
0.000 5.486 0.000
0.000 0.000 10.544
La Cu O
4 4 10
direct
0.500 0.194 0.863
0.500 0.806 0.137
0.500 0.694 0.637
0.500 0.306 0.363
0.000 0.204 0.605
0.000 0.796 0.395
0.000 0.704 0.895
0.000 0.296 0.105
0.000 0.500 0.500
0.000 0.000 0.000
0.000 0.417 0.791
0.000 0.583 0.209
0.000 0.917 0.709
0.000 0.083 0.291
0.500 0.214 0.604
0.500 0.786 0.396
0.500 0.286 0.104
0.500 0.714 0.896
```

## Properties
SG: Pbam, No. 55
DFT total energy in Ry per atom: -0.507
Magnetic moment in μB per atom: 0.023

***

[3]
Below is an optimized crystal structure of La2CuO4, with properties calculated at the PBE level.

POSCAR file:
```
La2CuO4
1.0
0.000 2.705 6.584
2.697 0.000 6.584
2.697 2.705 0.000
La Cu O
2 1 4
direct
0.362 0.360 0.640
0.640 0.638 0.362
0.998 0.002 0.998
0.001 0.999 0.498
0.498 0.502 0.001
0.159 0.212 0.788
0.788 0.841 0.159
```

## Properties
SG: Fmm2, No. 42
DFT total energy in Ry per atom: -0.544
........

We all have our own unique talents and strengths, whether in music, sports, poetry or Torah scholarship. It's not immodest to know that you're a talented painter or a better-than-average writer. It's only a matter of ego if a person thinks that their talents somehow make them better than others, rather than recognizing them as gifts from G-d.

Here the article breaks off for materials data >
<<<
The following is a GGA-PBE calculation of a geometry-optimized LiIrN2 structure, from the Materials Project database.

Calculated values
**Density**: 7.51 Mg/m³
**Energy of formation from the pure elements**: 38 meV/atom
**E (MP2020)**: -6.817 eV per atom
**Total moment**: 0.00 μB per atom
**Energy relative to the lowest polymorph listed for this composition**: 0.07 eV/f.u.

Cell lengths 5.706, 6.593, 5.343 Å; angles 90.00, 90.00, 90.00 degrees
Space group Pna2_1 (No. 33)
One atom of each set of equivalent atoms:
Li: 0.091 0.127 0.000 [4 per cell]
Ir: 0.078 0.642 0.013 [4 per cell]
N: 0.058 0.598 0.363 [4 per cell]
N: 0.105 0.130 0.399 [4 per cell]

=====

The following is a GGA-PBE calculation of a geometry-optimized ErOs2 structure, from the Materials Project database.

Calculated values
**Density**: 16.92 Mg/m³
**Energy of formation from the pure elements**: -348 meV/atom
**Total moment**: 0.03 μB per atom

Cell lengths 5.3203, 5.3203, 8.7720 Å; angles 90.00, 90.00, 120.00 degrees
Space group P6_3/mmc (No. 194)
One atom of each set of equivalent atoms:
Er: 0.3333 0.6667 0.0656 [4 per cell]
Os: 0.0000 0.0000 0.0000 [2 per cell]
Os: 0.1731 0.3462 0.7500 [6 per cell]

=====

The following is a GGA-PBE calculation of a geometry-optimized KPd2F5 structure, from the Materials Project database.

Calculated values
**Density**: 4.42 Mg/m³
**Energy of formation from the pure elements**: -1878 meV/atom
**E (MP2020)**: -4.509 eV per atom

Cell lengths 6.322, 7.585, 10.870 Å; angles 90.00, 90.00, 90.00 degrees
Space group Pnma (No. 62)
One atom of each set of equivalent atoms:
K: 0.015 0.250 0.132 [4 per cell]
Pd: 0.000 0.000 0.500 [4 per cell]
Pd: 0.190 0.250 0.786 [4 per cell]
F: 0.047 0.250 0.404 [4 per cell]
F: 0.188 0.067 0.919 [8 per cell]
F: 0.199 0.056 0.661 [8 per cell]

=====

The following is a GGA-PBE calculation of a geometry-optimized Na6Zn2Si3Ge2S3O24 structure, from the Materials Project database.

Calculated values
**Density**: 3.21 Mg/m³
**Energy of formation from the pure elements**: -2206 meV/atom
**E (MP2020)**: -6.385 eV per atom
**Total moment**: 0.00 μB per atom

Cell lengths 8.868, 8.935, 21.862 Å; angles 89.84, 88.40, 61.16 degrees
Space group P1 (No. 1)
One atom of each set of equivalent atoms:
Na: 0.000 0.000 0.000 [1 per cell]
Na: 0.000 0.617 0.248 [1 per cell]
Na: 0.000 0.649 0.738 [1 per cell]
Na: 0.303 0.291 0.660 [1 per cell]
Na: 0.310 0.673 0.169 [1 per cell]
Na: 0.317 0.966 0.578 [1 per cell]
Na: 0.320 0.984 0.080 [1 per cell]
Na: 0.325 0.343 0.329 [1 per cell]
Na: 0.329 0.598 0.824 [1 per cell]
Na: 0.375 0.277 0.993 [1 per cell]
Na: 0.384 0.608 0.493 [1 per cell]
Na: 0.650 0.666 0.648 [1 per cell]
Na: 0.653 0.948 0.156 [1 per cell]
Na: 0.660 0.308 0.908 [1 per cell]
Na: 0.662 0.311 0.412 [1 per cell]
Na: 0.982 0.331 0.813 [1 per cell]
Na: 0.987 0.950 0.322 [1 per cell]
Na: 0.991 0.272 0.494 [1 per cell]
Zn: 0.030 0.614 0.891 [1 per cell]
Zn: 0.034 0.617 0.396 [1 per cell]
Zn: 0.302 0.982 0.220 [1 per cell]
>>>

Author: Rabbi Jack Abramowitz